[Activity]
Could you write out every line underneath that contains the word "system"?

[Entries]
(1)
ErSi2: relaxed, meta-GGA r2SCAN.

```
data_ErSi2
_chemical_formula_sum 'Er2 Si4'
_symmetry_space_group_name_H-M 'P 1'
_symmetry_Int_Tables_number 1
_cell_length_a 7.949
_cell_length_b 7.949
_cell_length_c 7.949
_cell_angle_alpha 151.78
_cell_angle_beta 151.78
_cell_angle_gamma 40.33
loop_
_symmetry_equiv_pos_as_xyz
'x,y,z'
loop_
_atom_site_label
_atom_site_type_symbol
_atom_site_fract_x
_atom_site_fract_y
_atom_site_fract_z
Er1 Er 0.375 0.625 0.750
Er2 Er 0.625 0.375 0.250
Si1 Si 0.044 0.794 0.250
Si2 Si 0.206 0.956 0.250
Si3 Si 0.794 0.044 0.750
Si4 Si 0.956 0.206 0.750
```

Properties
Total moment (μB/atom): 0.000
ΔE_f (eV/f.u.): -1.56



(2)
MgH6N2Cl2: relaxed, meta-GGA r2SCAN.

```
data_MgH6N2Cl2
_chemical_formula_sum 'Mg1 H6 N2 Cl2'
_symmetry_space_group_name_H-M 'P 1'
_symmetry_Int_Tables_number 1
_cell_length_a 5.748
_cell_length_b 5.748
_cell_length_c 3.757
_cell_angle_alpha 91.02
_cell_angle_beta 91.02
_cell_angle_gamma 89.60
loop_
_symmetry_equiv_pos_as_xyz
'x,y,z'
loop_
_atom_site_label
_atom_site_type_symbol
_atom_site_fract_x
_atom_site_fract_y
_atom_site_fract_z
Mg1 Mg 0.000 0.000 0.000
H1 H 0.208 0.410 0.154
H2 H 0.309 0.323 0.775
H3 H 0.413 0.213 0.140
H4 H 0.590 0.792 0.846
H5 H 0.677 0.691 0.225
H6 H 0.787 0.587 0.860
N1 N 0.262 0.265 0.017
N2 N 0.735 0.738 0.983
Cl1 Cl 0.214 0.786 0.500
Cl2 Cl 0.785 0.215 0.500
```

Properties
Total moment (μB/atom): 0.000
ΔE_f (eV/f.u.): -10.06

~~~~~

1.
The following is a DFT calculation (r²SCAN) of a relaxed structure of Bi2Pd3Se2.

Output
Formation energy from the elements ... -376 meV/atom
Crystal system ... monoclinic
Magnetic moment ... 0.00 μB/atom
Mass density ... 9.52 Mg/m³

Unit cell a=7.316 b=7.316 c=8.496 alpha=55.97 beta=55.97 gamma=71.36
Positions (direct):
Bi  0.249  0.249  0.736
Bi  0.751  0.751  0.264
Bi  0.203  0.203  0.314
Bi  0.797  0.797  0.686
Pd  0.000  0.500  0.500
Pd  0.500  0.000  0.500
Pd  0.031  0.031  0.187
Pd  0.969  0.969  0.813
Pd  0.715  0.285  0.500
Pd  0.285  0.715  0.500
Se  0.742  0.319  0.182
Se  0.319  0.742  0.182
Se  0.258  0.681  0.818
Se  0.681  0.258  0.818

2.
The following is a DFT calculation (r²SCAN) of a relaxed structure of Lu2HgAu.

Output
Formation energy from the elements ... -761 meV/atom
Crystal system ... cubic
Magnetic moment ... 0.00 μB/atom
Mass density ... 13.86 Mg/m³

Unit cell a=5.022 b=5.022 c=5.022 alpha=60.00 beta=60.00 gamma=60.00
Positions (direct):
Lu  0.500  0.500  0.500
Lu  0.000  0.000  0.000
Hg  0.750  0.750  0.750
Au  0.250  0.250  0.250

3.
The following is a DFT calculation (r²SCAN) of a relaxed structure of Sb2O5.

Output
Formation energy from the elements ... -1375 meV/atom
Crystal system ... orthorhombic
Polymorph energy (0 for the lowest one) ... 85 meV per atom
Magnetic moment ... 0.00 μB/atom
Mass density ... 5.61 Mg/m³

Unit cell a=5.403 b=5.403 c=9.681 alpha=90.00 beta=90.00 gamma=137.34
Positions (direct):
Sb  0.635  0.365  0.565
Sb  0.365  0.635  0.435
Sb  0.365  0.635  0.065
Sb  0.635  0.365  0.935
O  0.707  0.293  0.750
O  0.450  0.550  0.619
O  0.184  0.816  0.537
O  0.816  0.184  0.463
O  0.550  0.450  0.381
O  0.293  0.707  0.250
O  0.550  0.450  0.119
O  0.450  0.550  0.881
O  0.816  0.184  0.037
O  0.184  0.816  0.963

4.
The following is a DFT calculation (r²SCAN) of a relaxed structure of V.

Output
Formation energy from the elements ... 0 meV/atom
Crystal system ... cubic
Magnetic moment ... 0.00 μB/atom
Mass density ... 6.38 Mg/m³

Unit cell a=2.583 b=2.583 c=2.583 alpha=109.47 beta=109.47 gamma=109.47
Positions (direct):
V  0.000  0.000  0.000

5.
The following is a DFT calculation (r²SCAN) of a relaxed structure of Li2AgBi.

Output
Formation energy from the elements ... -372 meV/atom
Crystal system ... cubic
Polymorph energy (0 for the lowest one) ... 24 meV per atom
Magnetic moment ... 0.00 μB/atom
Mass density ... 7.33 Mg/m³

Unit cell a=4.731 b=4.731 c=4.731 alpha=60.00 beta=60.00 gamma=60.00
Positions (direct):
Li  0.250  0.250  0.250
Li  0.750  0.750  0.750

[Here it is]
Crystal system ... monoclinic
Crystal system ... cubic
Crystal system ... orthorhombic
Crystal system ... cubic
Crystal system ... cubic